### File
-- begin --
No. 1
Entry from Materials Project: a relaxed Li4MnF7 crystal (PBE+U).

CIF file:
```
data_Li4MnF7
_cell_length_a 8.4585
_cell_length_b 8.4585
_cell_length_c 8.4585
_cell_angle_alpha 90.00
_cell_angle_beta 90.00
_cell_angle_gamma 90.00
_space_group_name_H-M_alt 'F -4 3 m'
_space_group_IT_number 216
_space_group_name_Hall 'F -4 2 3'
loop_
_atom_site_label
_atom_site_type_symbol
_atom_site_fract_x
_atom_site_fract_y
_atom_site_fract_z
Li1 Li 0.1236 0.1236 0.3764
Mn1 Mn 0.2500 0.2500 0.7500
F1 F 0.0000 0.0000 0.5000
F2 F 0.0140 0.2500 0.7500
```


No. 2
Entry from Materials Project: a relaxed Li3MnF5 crystal (PBE+U).

CIF file:
```
data_Li3MnF5
_cell_length_a 10.6010
_cell_length_b 6.6239
_cell_length_c 6.7180
_cell_angle_alpha 90.00
_cell_angle_beta 90.00
_cell_angle_gamma 90.00
_space_group_name_H-M_alt 'P n m a'
_space_group_IT_number 62
_space_group_name_Hall '-P 2ac 2n'
loop_
_atom_site_label
_atom_site_type_symbol
_atom_site_fract_x
_atom_site_fract_y
_atom_site_fract_z
Li1 Li 0.0452 0.2500 0.2373
Li2 Li 0.1729 0.5392 0.7691
Mn1 Mn 0.0792 0.7500 0.2664
F1 F 0.0960 0.7500 0.9498
F2 F 0.0985 0.7500 0.5800
F3 F 0.1185 0.2500 0.7600
F4 F 0.1522 0.0347 0.2617
```


No. 3
Entry from Materials Project: a relaxed LiMnF3 crystal (PBE+U).

CIF file:
```
data_LiMnF3
_cell_length_a 5.9772
_cell_length_b 8.3382
_cell_length_c 5.1955
_cell_angle_alpha 90.00
_cell_angle_beta 90.00
_cell_angle_gamma 90.00
_space_group_name_H-M_alt 'P n m a'
_space_group_IT_number 62
_space_group_name_Hall '-P 2ac 2n'
loop_
_atom_site_label
_atom_site_type_symbol
_atom_site_fract_x
_atom_site_fract_y
_atom_site_fract_z
Li1 Li 0.1462 0.2500 0.0301
Mn1 Mn 0.0000 0.0000 0.5000
F1 F 0.0261 0.7500 0.6597
F2 F 0.1985 0.0723 0.8166
```


No. 4
Entry from Materials Project: a relaxed Li3MnF5 crystal (PBE+U).

CIF file:
```
data_Li3MnF5
_cell_length_a 5.1596
_cell_length_b 5.7667
_cell_length_c 7.8603
_cell_angle_alpha 96.06
_cell_angle_beta 108.01
_cell_angle_gamma 113.81
_space_group_name_H-M_alt 'P -1'
_space_group_IT_number 2
_space_group_name_Hall '-P 1'
loop_
_atom_site_label
_atom_site_type_symbol
_atom_site_fract_x
_atom_site_fract_y
_atom_site_fract_z
Li1 Li 0.0580 0.4401 0.1983
Li2 Li 0.3143 0.5425 0.5868
Li3 Li 0.3436 0.9688 0.2123
Mn1 Mn 0.0000 0.0000 0.5000
Mn2 Mn 0.5000 0.5000 0.0000
F1 F 0.0365 0.2900 0.9568
F2 F 0.1352 0.7190 0.4316
F3 F 0.2440 0.2585 0.3635
F4 F 0.3722 0.7296 0.8276
F5 F 0.4387 0.2527 0.7419
```


No. 5
Entry from Materials Project: a relaxed LiMnF3 crystal (PBE+U).

CIF file:
```
data_LiMnF3
_cell_length_a 6.5783
_cell_length_b 6.7634
_cell_length_c 8.9264
_cell_angle_alpha 90.57
_cell_angle_beta 107.66
_cell_angle_gamma 98.92
_space_group_name_H-M_alt 'P -1'
_space_group_IT_number 2
_space_group_name_Hall '-P 1'
loop_
_atom_site_label
_atom_site_type_symbol
_atom_site_fract_x
_atom_site_fract_y
_atom_site_fract_z
Li1 Li 0.0232 0.3976 0.3001
Li2 Li 0.2218 0.8038 0.0179
Li3 Li 0.3478 0.9390 0.7376
Mn1 Mn 0.2118 0.8619 0.4065
Mn2 Mn 0.2726 0.2996 0.9983
Mn3 Mn 0.4206 0.4272 0.6648
F1 F 0.0437 0.3356 0.1056
F2 F 0.0785 0.8096 0.5854
F3 F 0.1393 0.3803 0.7382
F4 F 0.1689 0.9150 0.1862
F5 F 0.2912 0.0254 0.9096
F6 F 0.2957 0.5477 0.4294
F7 F 0.4143 0.1187 0.5838
F8 F 0.4202 0.6191 0.0875
F9 F 0.4957 0.7211 0.7661
```


No. 6
Entry from Materials Project: a relaxed LiMnF3 crystal (PBE+U).

CIF file:
```
data_LiMnF3
_cell_length_a 5.4659
_cell_length_b 9.0360
_cell_length_c 10.0529
_cell_angle_alpha 90.00
_cell_angle_beta 90.00
_cell_angle_gamma 90.00
_space_group_name_H-M_alt 'P n a 21'
_space_group_IT_number 33
_space_group_name_Hall 'P 2c -2n'
loop_
_atom_site_label
_atom_site_type_symbol
_atom_site_fract_x
_atom_site_fract_y
_atom_site_fract_z
Li1 Li 0.1517 0.1724 0.0000
Li2 Li 0.1830 0.8346 0.2228
Mn1 Mn 0.1564 0.5226 0.0252
Mn2 Mn 0.1615 0.8567 0.7901
F1 F 0.0077 0.6677 0.1603
F2 F 0.0137 0.0016 0.6496
F3 F 0.0416 0.3185 0.1501
F4 F 0.1722 0.8436 0.4171
F5 F 0.1741 0.5079 0.4192
F6 F 0.1765 0.1746 0.3904
```
-- stop --

### Activity
Your job: quote everything further up word for word.

### Done
No. 1
Entry from Materials Project: a relaxed Li4MnF7 crystal (PBE+U).

CIF file:
```
data_Li4MnF7
_cell_length_a 8.4585
_cell_length_b 8.4585
_cell_length_c 8.4585
_cell_angle_alpha 90.00
_cell_angle_beta 90.00
_cell_angle_gamma 90.00
_space_group_name_H-M_alt 'F -4 3 m'
_space_group_IT_number 216
_space_group_name_Hall 'F -4 2 3'
loop_
_atom_site_label
_atom_site_type_symbol
_atom_site_fract_x
_atom_site_fract_y
_atom_site_fract_z
Li1 Li 0.1236 0.1236 0.3764
Mn1 Mn 0.2500 0.2500 0.7500
F1 F 0.0000 0.0000 0.5000
F2 F 0.0140 0.2500 0.7500
```


No. 2
Entry from Materials Project: a relaxed Li3MnF5 crystal (PBE+U).

CIF file:
```
data_Li3MnF5
_cell_length_a 10.6010
_cell_length_b 6.6239
_cell_length_c 6.7180
_cell_angle_alpha 90.00
_cell_angle_beta 90.00
_cell_angle_gamma 90.00
_space_group_name_H-M_alt 'P n m a'
_space_group_IT_number 62
_space_group_name_Hall '-P 2ac 2n'
loop_
_atom_site_label
_atom_site_type_symbol
_atom_site_fract_x
_atom_site_fract_y
_atom_site_fract_z
Li1 Li 0.0452 0.2500 0.2373
Li2 Li 0.1729 0.5392 0.7691
Mn1 Mn 0.0792 0.7500 0.2664
F1 F 0.0960 0.7500 0.9498
F2 F 0.0985 0.7500 0.5800
F3 F 0.1185 0.2500 0.7600
F4 F 0.1522 0.0347 0.2617
```


No. 3
Entry from Materials Project: a relaxed LiMnF3 crystal (PBE+U).

CIF file:
```
data_LiMnF3
_cell_length_a 5.9772
_cell_length_b 8.3382
_cell_length_c 5.1955
_cell_angle_alpha 90.00
_cell_angle_beta 90.00
_cell_angle_gamma 90.00
_space_group_name_H-M_alt 'P n m a'
_space_group_IT_number 62
_space_group_name_Hall '-P 2ac 2n'
loop_
_atom_site_label
_atom_site_type_symbol
_atom_site_fract_x
_atom_site_fract_y
_atom_site_fract_z
Li1 Li 0.1462 0.2500 0.0301
Mn1 Mn 0.0000 0.0000 0.5000
F1 F 0.0261 0.7500 0.6597
F2 F 0.1985 0.0723 0.8166
```


No. 4
Entry from Materials Project: a relaxed Li3MnF5 crystal (PBE+U).

CIF file:
```
data_Li3MnF5
_cell_length_a 5.1596
_cell_length_b 5.7667
_cell_length_c 7.8603
_cell_angle_alpha 96.06
_cell_angle_beta 108.01
_cell_angle_gamma 113.81
_space_group_name_H-M_alt 'P -1'
_space_group_IT_number 2
_space_group_name_Hall '-P 1'
loop_
_atom_site_label
_atom_site_type_symbol
_atom_site_fract_x
_atom_site_fract_y
_atom_site_fract_z
Li1 Li 0.0580 0.4401 0.1983
Li2 Li 0.3143 0.5425 0.5868
Li3 Li 0.3436 0.9688 0.2123
Mn1 Mn 0.0000 0.0000 0.5000
Mn2 Mn 0.5000 0.5000 0.0000
F1 F 0.0365 0.2900 0.9568
F2 F 0.1352 0.7190 0.4316
F3 F 0.2440 0.2585 0.3635
F4 F 0.3722 0.7296 0.8276
F5 F 0.4387 0.2527 0.7419
```


No. 5
Entry from Materials Project: a relaxed LiMnF3 crystal (PBE+U).

CIF file:
```
data_LiMnF3
_cell_length_a 6.5783
_cell_length_b 6.7634
_cell_length_c 8.9264
_cell_angle_alpha 90.57
_cell_angle_beta 107.66
_cell_angle_gamma 98.92
_space_group_name_H-M_alt 'P -1'
_space_group_IT_number 2
_space_group_name_Hall '-P 1'
loop_
_atom_site_label
_atom_site_type_symbol
_atom_site_fract_x
_atom_site_fract_y
_atom_site_fract_z
Li1 Li 0.0232 0.3976 0.3001
Li2 Li 0.2218 0.8038 0.0179
Li3 Li 0.3478 0.9390 0.7376
Mn1 Mn 0.2118 0.8619 0.4065
Mn2 Mn 0.2726 0.2996 0.9983
Mn3 Mn 0.4206 0.4272 0.6648
F1 F 0.0437 0.3356 0.1056
F2 F 0.0785 0.8096 0.5854
F3 F 0.1393 0.3803 0.7382
F4 F 0.1689 0.9150 0.1862
F5 F 0.2912 0.0254 0.9096
F6 F 0.2957 0.5477 0.4294
F7 F 0.4143 0.1187 0.5838
F8 F 0.4202 0.6191 0.0875
F9 F 0.4957 0.7211 0.7661
```


No. 6
Entry from Materials Project: a relaxed LiMnF3 crystal (PBE+U).

CIF file:
```
data_LiMnF3
_cell_length_a 5.4659
_cell_length_b 9.0360
_cell_length_c 10.0529
_cell_angle_alpha 90.00
_cell_angle_beta 90.00
_cell_angle_gamma 90.00
_space_group_name_H-M_alt 'P n a 21'
_space_group_IT_number 33
_space_group_name_Hall 'P 2c -2n'
loop_
_atom_site_label
_atom_site_type_symbol
_atom_site_fract_x
_atom_site_fract_y
_atom_site_fract_z
Li1 Li 0.1517 0.1724 0.0000
Li2 Li 0.1830 0.8346 0.2228
Mn1 Mn 0.1564 0.5226 0.0252
Mn2 Mn 0.1615 0.8567 0.7901
F1 F 0.0077 0.6677 0.1603
F2 F 0.0137 0.0016 0.6496
F3 F 0.0416 0.3185 0.1501
F4 F 0.1722 0.8436 0.4171
F5 F 0.1741 0.5079 0.4192
F6 F 0.1765 0.1746 0.3904
```